## Entries
Diffraction record for MnV2Pb2O8. The powder XRD pattern is simulated, not measured: it uses a crystal structure in Alexandria, relaxed with PBE+U and Cu Kα X-rays.

Main lines, low angle first (15° ≤ 2θ ≤ 90°):
h k l	2θ/deg	I_rel
0 1 1	17.42	253
1 0 1	17.93	280
1 1 1	22.75	262
2 1 -1	27.67	1000
0 2 0	28.01	781
0 2 1	29.94	280
1 1 2	30.42	841
1 0 -3	30.97	458
1 2 -1	31.31	236
1 2 -3	42.22	297

Structural model:
a = 7.5986 Å, b = 6.3801 Å, c = 8.7362 Å
α = 90.00°, β = 104.89°, γ = 90.00°
Fractional positions:
Mn  0.1615  0.0000  0.0275
Mn  0.8385  0.5000  0.9725
V  0.0670  0.2876  0.3250
V  0.4919  0.8161  0.8487
V  0.5081  0.3161  0.1513
V  0.9330  0.7876  0.6750
Pb  0.2163  0.3178  0.7285
Pb  0.3529  0.7178  0.4546
Pb  0.6471  0.2178  0.5454
Pb  0.7837  0.8178  0.2715
O  0.0024  0.0086  0.7953
O  0.0646  0.0513  0.2193
O  0.0662  0.7470  0.5455
O  0.2853  0.2939  0.0259
O  0.2861  0.3452  0.4458
O  0.3435  0.8060  0.9669
O  0.4494  0.0361  0.7247
O  0.4541  0.5957  0.7206
O  0.5459  0.0957  0.2794
O  0.5506  0.5361  0.2753
O  0.6565  0.3060  0.0331
O  0.7139  0.8452  0.5542
O  0.7147  0.7939  0.9741
O  0.9338  0.2470  0.4545
O  0.9354  0.5513  0.7807
O  0.9976  0.5086  0.2047

----------

Entry 1:
The following is a calculated PXRD pattern of Li4V3Co3Sb2O16. It was derived from the PBE+U geometry in the Materials Project, using a wavelength of 1.5418 Å.
Lines closer than 0.1° are merged.

Largest 8 diffraction maxima, sorted by position, 15 to 90 degrees two-theta:
19.2°, 4.627 Å, rel. 34.4
19.4°, 4.585 Å, rel. 64.2
19.5°, 4.557 Å, rel. 100.0
32.7°, 2.740 Å, rel. 37.9
34.9°, 2.572 Å, rel. 30.9
35.3°, 2.543 Å, rel. 34.8
35.4°, 2.538 Å, rel. 33.1
61.8°, 1.501 Å, rel. 30.6

Structure:
```
Li4V3Co3Sb2O16
1.0
5.9589 0.0000 0.0000
-2.9736 5.2119 0.0000
-0.0330 -0.1612 9.7445
Li V Co Sb O
4 3 3 2 16
direct
0.0000 0.0000 0.0000
0.0084 0.0049 0.5119
0.3423 0.6835 0.5988
0.6739 0.3426 0.0894
0.1753 0.8344 0.2741
0.6589 0.8218 0.2857
0.8275 0.6541 0.7740
0.1746 0.3471 0.2876
0.3463 0.1791 0.7848
0.8331 0.1780 0.7852
0.3333 0.6678 0.0018
0.6609 0.3251 0.5103
0.0004 0.9846 0.1930
0.0467 0.5339 0.1534
0.1660 0.8322 0.9040
0.1667 0.3285 0.9115
0.3306 0.1659 0.3989
0.3441 0.7069 0.3896
0.4822 0.9673 0.1559
0.5059 0.5468 0.1581
0.5223 0.0437 0.6458
0.5309 0.5019 0.6418
0.6658 0.8306 0.9051
0.6908 0.3782 0.8901
0.8244 0.1523 0.3957
0.8306 0.6662 0.3920
0.9713 0.5018 0.6407
0.9882 0.9778 0.6990
```


Entry 2:
The following is a calculated PXRD pattern of LiV2NiO6. It was derived from the PBE+U geometry in the Materials Project, using a wavelength of 1.5418 Å.
Lines closer than 0.1° are merged.

Largest 8 diffraction maxima, sorted by position, 15 to 90 degrees two-theta:
18.6°, 4.768 Å, rel. 22.3
19.6°, 4.533 Å, rel. 30.4
23.8°, 3.733 Å, rel. 25.6
28.1°, 3.171 Å, rel. 100.0
29.7°, 3.007 Å, rel. 61.2
33.4°, 2.681 Å, rel. 40.7
35.3°, 2.541 Å, rel. 26.5
54.1°, 1.694 Å, rel. 22.7

Structure:
```
LiV2NiO6
1.0
5.1154 -4.5327 0.0000
5.1154 4.5327 0.0000
-2.0389 0.0000 5.3622
Li V Ni O
2 4 2 12
direct
0.2465 0.7535 0.7500
0.7535 0.2465 0.2500
0.1961 0.3919 0.2661
0.3919 0.1961 0.7661
0.6081 0.8039 0.2339
0.8039 0.6081 0.7339
0.0838 0.9162 0.2500
0.9162 0.0838 0.7500
0.0172 0.2015 0.1454
0.0961 0.6390 0.3217
0.2015 0.0172 0.6454
0.3531 0.3693 0.5666
0.3610 0.9039 0.1783
0.3693 0.3531 0.0666
0.6307 0.6469 0.9334
0.6390 0.0961 0.8217
0.6469 0.6307 0.4334
0.7985 0.9828 0.3546
0.9039 0.3610 0.6783
0.9828 0.7985 0.8546
```


Entry 3:
The following is a calculated PXRD pattern of MgAlCuW2O8. It was derived from the PBE+U geometry in the Materials Project, using a wavelength of 1.5418 Å.
Lines closer than 0.1° are merged.

Largest 8 diffraction maxima, sorted by position, 15 to 90 degrees two-theta:
15.5°, 5.705 Å, rel. 49.2
19.2°, 4.614 Å, rel. 100.0
23.1°, 3.848 Å, rel. 40.8
25.2°, 3.540 Å, rel. 30.3
28.3°, 3.158 Å, rel. 41.8
32.4°, 2.760 Å, rel. 37.6
33.6°, 2.669 Å, rel. 72.0
40.0°, 2.252 Å, rel. 33.1

Structure:
```
MgAlCuW2O8
1.0
5.3629 0.0000 0.0000
## Work order
Now copy all of the material earlier on without additions.
## Reply
Diffraction record for MnV2Pb2O8. The powder XRD pattern is simulated, not measured: it uses a crystal structure in Alexandria, relaxed with PBE+U and Cu Kα X-rays.

Main lines, low angle first (15° ≤ 2θ ≤ 90°):
h k l	2θ/deg	I_rel
0 1 1	17.42	253
1 0 1	17.93	280
1 1 1	22.75	262
2 1 -1	27.67	1000
0 2 0	28.01	781
0 2 1	29.94	280
1 1 2	30.42	841
1 0 -3	30.97	458
1 2 -1	31.31	236
1 2 -3	42.22	297

Structural model:
a = 7.5986 Å, b = 6.3801 Å, c = 8.7362 Å
α = 90.00°, β = 104.89°, γ = 90.00°
Fractional positions:
Mn  0.1615  0.0000  0.0275
Mn  0.8385  0.5000  0.9725
V  0.0670  0.2876  0.3250
V  0.4919  0.8161  0.8487
V  0.5081  0.3161  0.1513
V  0.9330  0.7876  0.6750
Pb  0.2163  0.3178  0.7285
Pb  0.3529  0.7178  0.4546
Pb  0.6471  0.2178  0.5454
Pb  0.7837  0.8178  0.2715
O  0.0024  0.0086  0.7953
O  0.0646  0.0513  0.2193
O  0.0662  0.7470  0.5455
O  0.2853  0.2939  0.0259
O  0.2861  0.3452  0.4458
O  0.3435  0.8060  0.9669
O  0.4494  0.0361  0.7247
O  0.4541  0.5957  0.7206
O  0.5459  0.0957  0.2794
O  0.5506  0.5361  0.2753
O  0.6565  0.3060  0.0331
O  0.7139  0.8452  0.5542
O  0.7147  0.7939  0.9741
O  0.9338  0.2470  0.4545
O  0.9354  0.5513  0.7807
O  0.9976  0.5086  0.2047

----------

Entry 1:
The following is a calculated PXRD pattern of Li4V3Co3Sb2O16. It was derived from the PBE+U geometry in the Materials Project, using a wavelength of 1.5418 Å.
Lines closer than 0.1° are merged.

Largest 8 diffraction maxima, sorted by position, 15 to 90 degrees two-theta:
19.2°, 4.627 Å, rel. 34.4
19.4°, 4.585 Å, rel. 64.2
19.5°, 4.557 Å, rel. 100.0
32.7°, 2.740 Å, rel. 37.9
34.9°, 2.572 Å, rel. 30.9
35.3°, 2.543 Å, rel. 34.8
35.4°, 2.538 Å, rel. 33.1
61.8°, 1.501 Å, rel. 30.6

Structure:
```
Li4V3Co3Sb2O16
1.0
5.9589 0.0000 0.0000
-2.9736 5.2119 0.0000
-0.0330 -0.1612 9.7445
Li V Co Sb O
4 3 3 2 16
direct
0.0000 0.0000 0.0000
0.0084 0.0049 0.5119
0.3423 0.6835 0.5988
0.6739 0.3426 0.0894
0.1753 0.8344 0.2741
0.6589 0.8218 0.2857
0.8275 0.6541 0.7740
0.1746 0.3471 0.2876
0.3463 0.1791 0.7848
0.8331 0.1780 0.7852
0.3333 0.6678 0.0018
0.6609 0.3251 0.5103
0.0004 0.9846 0.1930
0.0467 0.5339 0.1534
0.1660 0.8322 0.9040
0.1667 0.3285 0.9115
0.3306 0.1659 0.3989
0.3441 0.7069 0.3896
0.4822 0.9673 0.1559
0.5059 0.5468 0.1581
0.5223 0.0437 0.6458
0.5309 0.5019 0.6418
0.6658 0.8306 0.9051
0.6908 0.3782 0.8901
0.8244 0.1523 0.3957
0.8306 0.6662 0.3920
0.9713 0.5018 0.6407
0.9882 0.9778 0.6990
```


Entry 2:
The following is a calculated PXRD pattern of LiV2NiO6. It was derived from the PBE+U geometry in the Materials Project, using a wavelength of 1.5418 Å.
Lines closer than 0.1° are merged.

Largest 8 diffraction maxima, sorted by position, 15 to 90 degrees two-theta:
18.6°, 4.768 Å, rel. 22.3
19.6°, 4.533 Å, rel. 30.4
23.8°, 3.733 Å, rel. 25.6
28.1°, 3.171 Å, rel. 100.0
29.7°, 3.007 Å, rel. 61.2
33.4°, 2.681 Å, rel. 40.7
35.3°, 2.541 Å, rel. 26.5
54.1°, 1.694 Å, rel. 22.7

Structure:
```
LiV2NiO6
1.0
5.1154 -4.5327 0.0000
5.1154 4.5327 0.0000
-2.0389 0.0000 5.3622
Li V Ni O
2 4 2 12
direct
0.2465 0.7535 0.7500
0.7535 0.2465 0.2500
0.1961 0.3919 0.2661
0.3919 0.1961 0.7661
0.6081 0.8039 0.2339
0.8039 0.6081 0.7339
0.0838 0.9162 0.2500
0.9162 0.0838 0.7500
0.0172 0.2015 0.1454
0.0961 0.6390 0.3217
0.2015 0.0172 0.6454
0.3531 0.3693 0.5666
0.3610 0.9039 0.1783
0.3693 0.3531 0.0666
0.6307 0.6469 0.9334
0.6390 0.0961 0.8217
0.6469 0.6307 0.4334
0.7985 0.9828 0.3546
0.9039 0.3610 0.6783
0.9828 0.7985 0.8546
```


Entry 3:
The following is a calculated PXRD pattern of MgAlCuW2O8. It was derived from the PBE+U geometry in the Materials Project, using a wavelength of 1.5418 Å.
Lines closer than 0.1° are merged.

Largest 8 diffraction maxima, sorted by position, 15 to 90 degrees two-theta:
15.5°, 5.705 Å, rel. 49.2
19.2°, 4.614 Å, rel. 100.0
23.1°, 3.848 Å, rel. 40.8
25.2°, 3.540 Å, rel. 30.3
28.3°, 3.158 Å, rel. 41.8
32.4°, 2.760 Å, rel. 37.6
33.6°, 2.669 Å, rel. 72.0
40.0°, 2.252 Å, rel. 33.1

Structure:
```
MgAlCuW2O8
1.0
5.3629 0.0000 0.0000